Wanted.
It remains to start at the top of the calculation results further below and copy each line, ending with the one that has "1.999 -2.006".
Entries.
____________
Density functional theory data (GGA-PBE) for a relaxed LiPrThHg crystal.

POSCAR file:
```
LiPrThHg
1.0
0.000 3.804 3.804
3.804 0.000 3.804
3.804 3.804 0.000
Li Pr Th Hg
1 1 1 1
Direct
0.000 0.000 0.000 Li
0.250 0.250 0.250 Pr
0.750 0.750 0.750 Th
0.500 0.500 0.500 Hg
```

## Properties
Total DFT energy (no corrections) (eV per formula unit): -14.7

---

Density functional theory data (GGA-PBE) for a relaxed Li2PrTl2Hg2 crystal.

POSCAR file:
```
Li2PrTl2Hg2
1.0
2.522 1.456 7.620
-2.522 1.456 7.620
0.000 -2.913 7.620
Li Pr Tl Hg
2 1 2 2
Direct
0.148 0.148 0.148 Li
0.852 0.852 0.852 Li
0.000 0.000 0.000 Pr
0.430 0.430 0.430 Tl
0.570 0.570 0.570 Tl
0.271 0.271 0.271 Hg
0.729 0.729 0.729 Hg
```

## Properties
Total DFT energy (no corrections) (eV per formula unit): -16.0

---

Density functional theory data (GGA-PBE) for a relaxed LiPrTlHg crystal.

POSCAR file:
```
LiPrTlHg
1.0
0.000 3.702 3.702
3.702 0.000 3.702
3.702 3.702 0.000
Li Pr Tl Hg
1 1 1 1
Direct
0.000 0.000 0.000 Li
0.500 0.500 0.500 Pr
0.250 0.250 0.250 Tl
0.750 0.750 0.750 Hg
```

## Properties
Total DFT energy (no corrections) (eV per formula unit): -11.0

---

Density functional theory data (GGA-PBE) for a relaxed Li2PrTmHg4 crystal.

POSCAR file:
```
Li2PrTmHg4
1.0
2.529 1.460 8.371
-2.529 1.460 8.371
0.000 -2.920 8.371
Li Pr Tm Hg
2 1 1 4
Direct
0.247 0.247 0.247 Li
0.753 0.753 0.753 Li
0.000 0.000 0.000 Pr
0.500 0.500 0.500 Tm
0.129 0.129 0.129 Hg
0.380 0.380 0.380 Hg
0.620 0.620 0.620 Hg
0.871 0.871 0.871 Hg
```

## Properties
Total DFT energy (no corrections) (eV per formula unit): -17.8

---

Density functional theory data (GGA-PBE) for a relaxed Li2PrYHg4 crystal.

POSCAR file:
```
Li2PrYHg4
1.0
2.545 1.469 8.383
-2.545 1.469 8.383
0.000 -2.939 8.383
Li Pr Y Hg
2 1 1 4
Direct
0.248 0.248 0.248 Li
0.752 0.752 0.752 Li
0.000 0.000 0.000 Pr
0.500 0.500 0.500 Y
0.127 0.127 0.127 Hg
0.378 0.378 0.378 Hg
0.622 0.622 0.622 Hg
0.873 0.873 0.873 Hg
```

## Properties
Total DFT energy (no corrections) (eV per formula unit): -19.9

---

Density functional theory data (GGA-PBE) for a relaxed Li2PrZnHg4 crystal.

POSCAR file:
```
Li2PrZnHg4
1.0
2.339 1.351 9.230
-2.339 1.351 9.230
0.000 -2.701 9.230
Li Pr Zn Hg
2 1 1 4
Direct
0.232 0.232 0.232 Li
0.768 0.768 0.768 Li
0.000 0.000 0.000 Pr
0.500 0.500 0.500 Zn
0.125 0.125 0.125 Hg
0.394 0.394 0.394 Hg
0.606 0.606 0.606 Hg
0.875 0.875 0.875 Hg
```

## Properties
Total DFT energy (no corrections) (eV per formula unit): -13.6

---

Density functional theory data (GGA-PBE) for a relaxed LiHg2Pt crystal.

POSCAR file:
```
LiHg2Pt
1.0
4.322 0.000 0.000
0.000 4.322 0.000
0.000 0.000 3.836
Li Hg Pt
1 2 1
Direct
0.000 0.000 0.000 Li
0.000 0.500 0.500 Hg
0.500 0.000 0.500 Hg
0.500 0.500 0.000 Pt
```

## Properties
Energy above the lowest structure with this stoichiometry (meV per atom): 45

---

Density functional theory data (GGA-PBE) for a relaxed Li8Hg2Pt crystal.

POSCAR file:
```
Li8Hg2Pt
1.0
-2.229 3.230 6.502
2.229 -3.230 6.502
2.229 3.230 -6.502
Li Hg Pt
8 2 1
Direct
0.138 0.363 0.775 Li
0.157 0.157 0.000 Li
0.269 0.000 0.269 Li
0.412 0.637 0.775 Li
0.588 0.363 0.225 Li
0.731 0.000 0.731 Li
0.843 0.843 0.000 Li
0.862 0.637 0.225 Li
0.306 0.806 0.500 Hg
0.694 0.194 0.500 Hg
0.000 0.500 0.500 Pt
```

## Properties
Energy above the lowest structure with this stoichiometry (meV per atom): 12

---

Density functional theory data (GGA-PBE) for a relaxed LiHg2Pt crystal.

POSCAR file:
```
LiHg2Pt
1.0
-1.999 2.006 4.500
1.999 -2.006 4.500
1.999 2.006 -4.500
Li Hg Pt
1 2 1
Direct
0.000 0.000 0.000 Li
0.499 0.499 0.000 Hg
0.750 0.250 0.500 Hg
0.249 0.749 0.500 Pt
```

## Properties
Energy above the lowest structure with this stoichiometry (meV per atom): 53

---

Density functional theory data (GGA-PBE) for a relaxed LiHg2Pt crystal.

POSCAR file:
```
LiHg2Pt
1.0
1.530 0.884 9.159
-1.530 0.884 9.159
0.000 -1.767 9.159
Li Hg Pt
1 2 1
Direct
0.000 0.000 0.000 Li
0.252 0.252 0.252 Hg
0.748 0.748 0.748 Hg
0.500 0.500 0.500 Pt
```
____________
Worked solution.
Density functional theory data (GGA-PBE) for a relaxed LiPrThHg crystal.

POSCAR file:
```
LiPrThHg
1.0
0.000 3.804 3.804
3.804 0.000 3.804
3.804 3.804 0.000
Li Pr Th Hg
1 1 1 1
Direct
0.000 0.000 0.000 Li
0.250 0.250 0.250 Pr
0.750 0.750 0.750 Th
0.500 0.500 0.500 Hg
```

## Properties
Total DFT energy (no corrections) (eV per formula unit): -14.7

---

Density functional theory data (GGA-PBE) for a relaxed Li2PrTl2Hg2 crystal.

POSCAR file:
```
Li2PrTl2Hg2
1.0
2.522 1.456 7.620
-2.522 1.456 7.620
0.000 -2.913 7.620
Li Pr Tl Hg
2 1 2 2
Direct
0.148 0.148 0.148 Li
0.852 0.852 0.852 Li
0.000 0.000 0.000 Pr
0.430 0.430 0.430 Tl
0.570 0.570 0.570 Tl
0.271 0.271 0.271 Hg
0.729 0.729 0.729 Hg
```

## Properties
Total DFT energy (no corrections) (eV per formula unit): -16.0

---

Density functional theory data (GGA-PBE) for a relaxed LiPrTlHg crystal.

POSCAR file:
```
LiPrTlHg
1.0
0.000 3.702 3.702
3.702 0.000 3.702
3.702 3.702 0.000
Li Pr Tl Hg
1 1 1 1
Direct
0.000 0.000 0.000 Li
0.500 0.500 0.500 Pr
0.250 0.250 0.250 Tl
0.750 0.750 0.750 Hg
```

## Properties
Total DFT energy (no corrections) (eV per formula unit): -11.0

---

Density functional theory data (GGA-PBE) for a relaxed Li2PrTmHg4 crystal.

POSCAR file:
```
Li2PrTmHg4
1.0
2.529 1.460 8.371
-2.529 1.460 8.371
0.000 -2.920 8.371
Li Pr Tm Hg
2 1 1 4
Direct
0.247 0.247 0.247 Li
0.753 0.753 0.753 Li
0.000 0.000 0.000 Pr
0.500 0.500 0.500 Tm
0.129 0.129 0.129 Hg
0.380 0.380 0.380 Hg
0.620 0.620 0.620 Hg
0.871 0.871 0.871 Hg
```

## Properties
Total DFT energy (no corrections) (eV per formula unit): -17.8

---

Density functional theory data (GGA-PBE) for a relaxed Li2PrYHg4 crystal.

POSCAR file:
```
Li2PrYHg4
1.0
2.545 1.469 8.383
-2.545 1.469 8.383
0.000 -2.939 8.383
Li Pr Y Hg
2 1 1 4
Direct
0.248 0.248 0.248 Li
0.752 0.752 0.752 Li
0.000 0.000 0.000 Pr
0.500 0.500 0.500 Y
0.127 0.127 0.127 Hg
0.378 0.378 0.378 Hg
0.622 0.622 0.622 Hg
0.873 0.873 0.873 Hg
```

## Properties
Total DFT energy (no corrections) (eV per formula unit): -19.9

---

Density functional theory data (GGA-PBE) for a relaxed Li2PrZnHg4 crystal.

POSCAR file:
```
Li2PrZnHg4
1.0
2.339 1.351 9.230
-2.339 1.351 9.230
0.000 -2.701 9.230
Li Pr Zn Hg
2 1 1 4
Direct
0.232 0.232 0.232 Li
0.768 0.768 0.768 Li
0.000 0.000 0.000 Pr
0.500 0.500 0.500 Zn
0.125 0.125 0.125 Hg
0.394 0.394 0.394 Hg
0.606 0.606 0.606 Hg
0.875 0.875 0.875 Hg
```

## Properties
Total DFT energy (no corrections) (eV per formula unit): -13.6

---

Density functional theory data (GGA-PBE) for a relaxed LiHg2Pt crystal.

POSCAR file:
```
LiHg2Pt
1.0
4.322 0.000 0.000
0.000 4.322 0.000
0.000 0.000 3.836
Li Hg Pt
1 2 1
Direct
0.000 0.000 0.000 Li
0.000 0.500 0.500 Hg
0.500 0.000 0.500 Hg
0.500 0.500 0.000 Pt
```

## Properties
Energy above the lowest structure with this stoichiometry (meV per atom): 45

---

Density functional theory data (GGA-PBE) for a relaxed Li8Hg2Pt crystal.

POSCAR file:
```
Li8Hg2Pt
1.0
-2.229 3.230 6.502
2.229 -3.230 6.502
2.229 3.230 -6.502
Li Hg Pt
8 2 1
Direct
0.138 0.363 0.775 Li
0.157 0.157 0.000 Li
0.269 0.000 0.269 Li
0.412 0.637 0.775 Li
0.588 0.363 0.225 Li
0.731 0.000 0.731 Li
0.843 0.843 0.000 Li
0.862 0.637 0.225 Li
0.306 0.806 0.500 Hg
0.694 0.194 0.500 Hg
0.000 0.500 0.500 Pt
```

## Properties
Energy above the lowest structure with this stoichiometry (meV per atom): 12

---

Density functional theory data (GGA-PBE) for a relaxed LiHg2Pt crystal.

POSCAR file:
```
LiHg2Pt
1.0
-1.999 2.006 4.500
1.999 -2.006 4.500